Input:
........
CaV2Ni: relaxed, PBE.

Cell: 4.4320 4.4320 4.4320 Å, 60.00 60.00 60.00°
With the nearest neighbours (Å) after each atom.
Element x y z (fractional)
Ca: 0.0000 0.0000 0.0000  8 V 2.71
V: 0.2500 0.2500 0.2500  4 Ni 2.71, 4 Ca 2.71
V: 0.7500 0.7500 0.7500  4 Ni 2.71, 4 Ca 2.71
Ni: 0.5000 0.5000 0.5000  8 V 2.71

## Properties
Crystal system   cubic

***

Ac2AlPd6: relaxed, PBE.

Cell: 6.7957 6.7957 6.7957 Å, 52.60 52.60 52.60°
With the nearest neighbours (Å) after each atom.
Element x y z (fractional)
Ac: 0.2362 0.2362 0.2362  12 Pd 3.06-3.43
Ac: 0.7638 0.7638 0.7638  12 Pd 3.06-3.43
Al: 0.5000 0.5000 0.5000  6 Pd 2.52
Pd: 0.2273 0.2273 0.7427  1 Al 2.52
Pd: 0.2273 0.7427 0.2273  1 Al 2.52
Pd: 0.2573 0.7727 0.7727  1 Al 2.52
Pd: 0.7427 0.2273 0.2273  1 Al 2.52
Pd: 0.7727 0.2573 0.7727  1 Al 2.52
Pd: 0.7727 0.7727 0.2573  1 Al 2.52

## Properties
Crystal system   trigonal

***

Number 1: distance to the lowest polymorph of the same formula 49 meV/atom, DFT formation energy 79.62 kJ/mol of atoms, magnetization 0.865 Bohr magnetons per cell. Number 2: distance to the lowest polymorph of the same formula 0 meV/atom, DFT formation energy -81.89 kJ/mol of atoms, magnetization 0.000 Bohr magnetons per cell.

* * * * *

Entry from the Alexandria database: Tb6Ce2Pm3Ho after structural relaxation (PBE).

Summary:
D(E_F) = 21.28 states/eV/f.u.
E_form = 0.0453 eV per atom
crystal system = monoclinic

Unit cell a=6.190 b=6.190 c=11.815 alpha=95.01 beta=95.01 gamma=120.00
Fractional positions:
Tb (0.918, 0.582, 0.754)
Tb (0.747, 0.747, 0.246)
Tb (0.082, 0.418, 0.246)
Tb (0.582, 0.918, 0.754)
Tb (0.253, 0.253, 0.754)
Tb (0.418, 0.082, 0.246)
Ce (0.334, 0.666, 0.000)
Ce (0.666, 0.334, 0.000)
Pm (0.166, 0.834, 0.500)
Pm (0.834, 0.166, 0.500)
Pm (0.500, 0.500, 0.500)
Ho (0.000, 0.000, 0.000)


Entry from the Alexandria database: Tb6CePm2Ho3 after structural relaxation (PBE).

Summary:
D(E_F) = 19.58 states/eV/f.u.
E_form = 0.0375 eV per atom
crystal system = monoclinic

Unit cell a=6.178 b=6.178 c=11.816 alpha=95.00 beta=95.00 gamma=120.00
Fractional positions:
Tb (0.916, 0.585, 0.748)
Tb (0.753, 0.753, 0.252)
Tb (0.084, 0.415, 0.252)
Tb (0.585, 0.916, 0.748)
Tb (0.247, 0.247, 0.748)
Tb (0.415, 0.084, 0.252)
Ce (0.000, 0.000, 0.000)
Pm (0.334, 0.666, 0.000)
Pm (0.666, 0.334, 0.000)
Ho (0.167, 0.833, 0.500)
Ho (0.833, 0.167, 0.500)
Ho (0.500, 0.500, 0.500)


Entry from the Alexandria database: Tb3Ce2PmHo6 after structural relaxation (PBE).

Summary:
D(E_F) = 21.60 states/eV/f.u.
E_form = 0.0474 eV per atom
crystal system = monoclinic

Unit cell a=6.135 b=6.135 c=11.708 alpha=95.01 beta=95.01 gamma=119.99
Fractional positions:
Tb (0.166, 0.834, 0.500)
Tb (0.834, 0.166, 0.500)
Tb (0.500, 0.500, 0.500)
Ce (0.333, 0.667, 0.000)
Ce (0.667, 0.333, 0.000)
Pm (0.000, 0.000, 0.000)
Ho (0.916, 0.580, 0.750)
Ho (0.748, 0.748, 0.250)
Ho (0.084, 0.420, 0.250)
Ho (0.580, 0.916, 0.750)
Ho (0.252, 0.252, 0.750)
Ho (0.420, 0.084, 0.250)


Entry from the Alexandria database: TbCePm6Ho2 after structural relaxation (PBE).

Summary:
D(E_F) = 22.49 states/eV/f.u.
E_form = 0.2429 eV per atom
crystal system = monoclinic

Unit cell a=8.859 b=6.980 c=6.653 alpha=121.64 beta=101.83 gamma=90.00
Fractional positions:
Tb (0.500, 0.000, 0.000)
Ce (0.000, 0.500, 0.000)
Pm (0.417, 0.626, 0.253)
Pm (0.201, 0.063, 0.656)
Pm (0.799, 0.407, 0.344)
Pm (0.201, 0.593, 0.656)
Pm (0.799, 0.937, 0.344)
Pm (0.583, 0.374, 0.747)
Ho (0.164, 0.091, 0.181)
Ho (0.836, 0.909, 0.819)


Entry from the Alexandria database: Tb4CePmHo2 after structural relaxation (PBE).

Summary:
D(E_F) = 13.47 states/eV/f.u.
E_form = 0.0404 eV per atom
crystal system = monoclinic

Unit cell a=3.553 b=6.151 c=11.820 alpha=80.05 beta=90.00 gamma=90.00
Fractional positions:
Tb (0.000, 0.749, 0.748)
Tb (0.000, 0.251, 0.252)
Tb (0.500, 0.746, 0.253)
Tb (0.500, 0.254, 0.747)
Ce (0.000, 0.500, 0.500)
Pm (0.500, 0.500, 0.000)
Ho (0.000, 0.000, 0.000)
Ho (0.500, 0.000, 0.500)
........
Work order:
It remains to filter the notes further above: keep the lines with the word "after".
Response:
With the nearest neighbours (Å) after each atom.
With the nearest neighbours (Å) after each atom.
Entry from the Alexandria database: Tb6Ce2Pm3Ho after structural relaxation (PBE).
Entry from the Alexandria database: Tb6CePm2Ho3 after structural relaxation (PBE).
Entry from the Alexandria database: Tb3Ce2PmHo6 after structural relaxation (PBE).
Entry from the Alexandria database: TbCePm6Ho2 after structural relaxation (PBE).
Entry from the Alexandria database: Tb4CePmHo2 after structural relaxation (PBE).